Then it was off to the Chicago Public Library, which to our dismay is no longer a library, but instead some kind of art gallery for people with no discerning artistic skills. Our mocking antics of the “Art” here nearly got us kicked out. Not to mention the bull riding episode…
Across the street is Millennium Park where the iconic “Bean” is located. The official name for this massive sculpture is the Cloudgate. However, don’t bother referring to it as such. No one will know what you are talking about.
And finally in an homage to Ferris Bueller, we visited one of his old stomping grounds, The Art Institute of Chicago. What started out as a lark, ended up being a serious endeavor. This is the best museum in the world as far as I am concerned. I like it better than the National Gallery in DC or even the Louvre in Paris. So many different kinds of art displayed here. All of them fascinating and beautiful in their own way. It’s huge, but easy to navigate. All the docents are incredibly knowledgeable and the array of art is unbelievable.
Of course I am old school and was completely enamored by the Impressionist Masters. Paige, however, really loved the Surrealism exhibits. We wandered around aimlessly at times together and sometimes alone just taking it all in and having a truly lovely day.
This place is literally beneath a freeway overpass. We were too scared to go at night so that’s why we are eating these for breakfast.
Totally worth it though.
Yes, the relish is that intensely green. Don’t ask me why. And ketchup is not allowed.
Different flavored salts for your fries. We had way too much fun with this display, laughing and laughing.
Disguised as a Library but No!
Instead we get this….
And this…Target Practice maybe?
== Calculated molecules, as found in the file ==
-- begin --
Entry 1:
DFT (the ωB97M-V functional and the def2-TZVPD basis) results for a molecular structure, C49H60BF5N10NaO3SeTe at a distorted geometry.

Structure (XYZ):
```
131
Properties=species:S:1:pos:R:3:lowdin_charge:R:1
Na 0.25302 1.38328 -2.51985 0.13
C -4.94537 0.55815 0.56401 -0.09
C -3.66948 -0.03276 0.51309 -0.18
N -3.07591 0.22016 -0.63631 0.03
N -3.94575 0.95907 -1.35366 0.01
C -5.07766 1.18269 -0.65615 -0.11
B -3.49781 1.51051 -2.72036 -0.63
N -2.68619 0.44134 -3.48053 0.02
C -3.08736 -0.23421 -4.57694 -0.08
C -2.12865 -1.16293 -4.89178 -0.06
C -1.15739 -0.98441 -3.90007 -0.16
N -1.50083 -0.03243 -3.05413 0.02
N -2.70681 2.84039 -2.51295 0.02
C -3.28589 4.04074 -2.32752 -0.09
C -2.29443 4.98660 -2.20552 -0.06
C -1.11198 4.24925 -2.32965 -0.17
N -1.36829 2.96604 -2.51733 0.03
N -4.70308 1.89059 -3.62166 -0.03
C -4.54746 2.58320 -4.77030 -0.10
C -5.79060 2.77726 -5.32186 -0.08
C -6.66227 2.16184 -4.40831 -0.19
N -6.00518 1.63473 -3.39103 0.06
H -5.66399 0.52529 1.36195 0.07
H -3.15523 -0.61337 1.26177 0.09
H -5.89228 1.73747 -1.08452 0.09
H -4.02145 -0.02032 -5.06186 0.11
H -2.12457 -1.84929 -5.71966 0.08
H -0.22091 -1.50023 -3.76177 0.11
H -4.35705 4.14086 -2.30433 0.12
H -2.40454 6.04532 -2.05976 0.08
H -0.09202 4.58547 -2.27258 0.10
H -3.57146 2.87599 -5.10768 0.11
H -6.02897 3.28915 -6.23621 0.08
H -7.73669 2.08066 -4.44547 0.08
C -2.23570 -4.03420 5.27283 -0.06
C -1.10935 -4.26314 4.25583 -0.56
C -1.55534 -5.36897 3.29850 -0.07
C 0.14090 -4.75907 4.99744 -0.05
C -0.78659 -2.96157 3.52392 -0.19
C -0.85944 -2.82325 2.14038 -0.07
C -0.49751 -1.61778 1.57773 -0.39
Se -0.42500 -1.05828 -0.25589 1.43
C 1.26155 -1.84467 -0.63354 -0.34
C 1.70168 -3.06821 -0.16032 -0.06
C 2.93622 -3.55721 -0.54578 -0.18
C 3.69936 -2.76609 -1.42214 0.02
C 3.30271 -1.53539 -1.91216 -0.09
C 2.03166 -1.02569 -1.50846 -0.40
O 1.56161 0.10619 -1.83350 -0.17
C 4.16709 -0.70060 -2.84861 -0.53
C 5.53331 -1.33967 -3.10991 -0.08
C 4.40258 0.68698 -2.23640 -0.04
C 3.44407 -0.54026 -4.19067 -0.03
C 3.39757 -4.91782 -0.02491 -0.56
C 4.82350 -5.25717 -0.46228 -0.08
C 2.46227 -6.01511 -0.55182 -0.05
C 3.35704 -4.92823 1.51032 -0.05
C -0.04859 -0.50199 2.29165 -0.45
O 0.30349 0.52152 1.59989 -0.12
C -0.01368 -0.61606 3.70724 -0.09
C -0.37424 -1.83639 4.25857 0.01
C 0.38739 0.60489 4.52454 -0.54
C -0.64004 1.71421 4.25327 -0.04
C 0.43393 0.33393 6.02939 -0.08
C 1.77289 1.08901 4.08188 -0.04
H -2.46521 -4.95885 5.80848 0.07
H -3.13936 -3.69288 4.76793 0.09
H -1.95858 -3.27839 6.00701 0.07
H -1.77904 -6.27576 3.86437 0.08
H -0.77408 -5.60923 2.57731 0.08
H -2.45169 -5.08361 2.74955 0.08
H -0.06417 -5.69915 5.51628 0.08
H 0.47625 -4.02997 5.73398 0.07
H 0.95804 -4.92235 4.29475 0.08
H -1.20640 -3.63006 1.50902 0.10
H 1.07427 -3.62790 0.51870 0.09
H 4.66742 -3.13527 -1.71885 0.08
H 6.10691 -1.45667 -2.18888 0.08
H 6.10183 -0.69589 -3.78236 0.08
H 5.44153 -2.31658 -3.58674 0.08
H 4.83468 0.59524 -1.23794 0.09
H 3.46357 1.23305 -2.16680 0.06
H 5.08943 1.25704 -2.86394 0.08
-- stop --
Guess which is the Art, and which is my daughter.
Riding the Bull to Subway or until the police comes.
However, it is actually very beautiful inside with delicious Architectural details.
The Bean is a sculpture made of mercury glass that reflects the Chicago skyline and the clouds above. It’s enormous and shiny.
Had to take some selfies of course.
Walking in Ferris’s footsteps…Seurat’s “Sunday in the Park” is also enormous, and more beautiful in person than any picture can depict.
And this guy…takes your breath away.
Inserted here: calculated molecules:
=====
The following is a DFT calculation (ωB97M-V/def2-TZVPD) of C54H42CeFGeP3Se2Te2 as an isolated structure at a distorted geometry.

Structure (XYZ):
```
106
Properties=species:S:1:pos:R:3:forces:R:3
Ce -0.743 2.484 0.336 0.650 0.087 0.689
Te -0.888 5.256 -1.012 -0.301 0.331 1.142
Te -2.143 5.080 1.746 0.546 -0.231 -1.365
Se -3.444 3.006 1.236 0.005 0.267 -0.110
Se 1.371 4.389 -0.323 -0.574 0.217 -0.015
Ge 0.768 -2.025 0.072 0.815 -0.125 -0.993
P -1.448 0.531 -1.781 -2.285 -0.742 0.237
P 2.564 0.958 0.633 -0.936 0.754 1.335
P -1.574 -0.207 1.636 -0.758 -0.520 0.407
F 0.935 -3.787 0.275 0.027 0.329 -0.312
C 3.641 2.136 -1.535 1.187 0.531 -0.848
C -4.893 0.104 4.713 0.079 0.087 0.661
C 1.764 -2.325 4.015 -0.742 0.893 1.634
C -2.958 1.038 -4.253 -1.343 0.113 1.055
C -4.039 1.348 -2.075 1.153 -0.023 0.544
C -0.625 -1.981 -1.344 0.596 -1.318 -1.012
C 3.390 1.582 5.188 0.081 -1.113 -2.007
C 4.645 -2.449 -1.389 -0.499 -0.560 -0.054
C 0.904 0.136 -5.093 0.320 0.231 1.436
C -0.354 -1.097 2.636 1.275 -0.530 0.865
C -2.168 -2.891 0.843 -0.611 -0.021 -0.787
C -2.903 0.963 -2.820 -0.543 0.349 -1.090
C 4.355 3.180 0.545 -0.189 -0.607 0.800
C -2.377 -4.342 -2.495 1.637 2.101 1.134
C -0.198 0.771 -3.026 1.276 0.451 -0.065
C 1.359 2.310 -4.123 -0.377 -0.196 0.195
C 2.096 1.938 3.179 1.449 -0.264 0.788
C -3.918 -1.068 0.223 0.132 -0.394 -0.659
C 3.615 2.240 -0.145 -0.505 -1.058 0.117
C 3.257 -2.513 -1.239 -0.261 -0.089 -0.046
C 3.378 -0.543 0.096 -1.145 -0.136 -0.939
C -3.537 -1.282 3.311 -0.601 -0.482 -1.063
C 4.757 -0.533 0.039 0.619 -0.231 -0.198
C 0.686 -1.773 4.726 -0.429 0.353 -1.174
C -3.162 -2.019 -1.768 -0.097 0.778 -0.233
C 0.456 2.025 -3.096 -0.268 0.227 0.827
C -0.385 -1.129 4.072 0.903 -0.329 -0.928
C 0.760 -1.647 1.973 -1.311 0.732 0.063
C 2.937 1.088 2.443 -0.333 0.095 0.066
C -5.149 1.804 -2.710 -2.726 0.301 -0.525
C -5.288 1.874 -4.127 1.213 0.296 1.188
C -3.130 -3.511 -1.426 -0.817 -2.010 -0.352
C 2.381 2.274 4.508 0.043 -0.616 0.197
C -4.696 -1.087 4.053 0.814 0.314 0.060
C 4.126 0.585 4.493 -0.372 0.756 -0.447
C 2.556 -1.535 -0.534 1.629 -0.457 0.568
C 4.537 2.934 -2.267 0.072 -0.236 0.724
C -4.339 -1.397 -1.002 0.388 0.203 -0.479
C 5.407 -1.535 -0.697 -0.009 0.219 0.106
C -4.181 1.530 -4.875 1.841 -0.485 0.368
C 5.356 3.831 -1.526 -1.038 -0.455 -1.308
C -2.421 -1.423 0.435 0.558 0.688 -0.841
C 3.963 0.395 3.108 -0.406 0.718 0.344
C 1.830 -2.184 2.673 0.308 -0.791 -1.687
C 5.196 3.996 -0.163 0.764 1.772 0.405
C -1.139 -3.942 -2.938 -2.056 -0.896 -0.032
C -3.876 1.053 4.728 -0.439 1.160 0.723
C -2.811 -0.167 2.951 0.265 0.987 0.833
C -2.901 0.973 3.780 0.647 -0.692 -1.149
C -0.330 -2.891 -2.386 0.201 2.200 0.854
C 0.049 -0.155 -4.000 0.283 -0.947 -1.940
C -1.946 -1.333 -1.117 0.826 -0.548 0.918
C 1.615 1.355 -5.103 -1.416 -0.695 0.104
C -2.580 -3.838 -0.032 0.419 0.222 0.915
H -6.151 2.327 -4.615 0.086 -0.304 0.321
H 0.256 2.807 -2.309 0.321 -0.818 -1.007
H 0.718 -1.823 5.787 -0.195 -0.037 0.742
H 1.260 2.403 2.725 -0.732 0.556 -0.606
=====
Back to the page:
This guy…not so much.
Chillin’ with Van Gogh at the Night Cafe.
And not to be outdone is Monsieur Marc Chagall.Heather Elder Howes, does this remind you of the Tiffany stained glass in our little Winter Park museum?
Quantum chemistry results, as found in the file
-- begin --
[1]
65
Properties=species:S:1:pos:R:3:forces:R:3:mulliken_charge:R:1 method="wB97M-V/def2-TZVPD" homo_energy_ev=-10.0 max_force_ha_per_bohr=0.014 e_lumo_ev=0.2598 e_above_lowest_kj_mol=12.7 smiles="COP(=O)(OC)OC.CO.CO.CO.CO.CO.CO.CO.CO" e_tot_ev=-45929.332
C -1.5458 -4.6020 -1.4350 0.04 -0.19 0.45 -0.613
O -1.8020 -3.2232 -1.6667 -0.08 -0.04 -0.09 -0.413
H -2.3847 -5.2435 -1.7068 0.02 0.10 -0.26 0.371
H -0.6571 -4.8876 -1.9921 -0.03 -0.08 -0.09 0.242
H -1.3602 -4.7883 -0.3714 0.06 0.11 -0.06 0.148
H -2.7421 -3.0934 -1.8114 -0.01 0.05 0.03 0.243
C 1.7323 -2.7217 -1.8720 -0.38 0.30 0.09 0.112
O 3.0204 -3.1641 -2.2492 0.02 -0.14 0.04 -0.595
H 1.0019 -3.2042 -2.5195 0.06 0.00 -0.07 0.276
H 1.4628 -2.9582 -0.8357 0.18 -0.15 -0.05 0.010
H 1.6161 -1.6370 -1.9881 0.04 -0.05 -0.04 -0.100
H 3.6190 -3.0536 -1.5078 0.05 0.05 0.02 0.328
C -1.3319 2.6599 -3.1735 -0.13 0.38 -0.09 -0.213
O -2.5395 3.0996 -3.8012 0.07 -0.01 0.01 -0.594
H -1.4265 1.6350 -2.8122 0.11 -0.03 0.03 0.121
H -0.5334 2.7380 -3.9078 -0.04 -0.15 -0.09 0.240
H -1.0484 3.3151 -2.3480 0.00 -0.08 0.06 0.122
H -3.0891 3.5346 -3.1457 -0.01 -0.07 -0.01 0.321
C -0.2457 -0.6638 0.4272 0.18 -0.25 0.52 1.159
O -1.0504 -0.6192 -0.7271 0.11 0.24 -0.22 -0.458
H 0.7574 -1.0842 0.2745 -0.13 0.09 -0.25 -0.548
H -0.1096 0.3521 0.7917 -0.04 0.02 -0.03 -0.161
H -0.6945 -1.2682 1.2248 -0.05 0.12 -0.04 -0.378
H -1.1340 -1.5099 -1.0870 -0.06 -0.15 0.03 0.317
C -2.8059 -1.9486 2.8709 -0.08 0.37 -0.19 -0.340
O -3.7001 -1.7578 3.9545 -0.05 -0.12 0.19 -0.548
H -3.0202 -1.2398 2.0610 0.02 -0.08 0.03 0.236
H -1.8028 -1.7400 3.2400 0.06 -0.15 -0.07 0.103
H -2.8530 -2.9569 2.4534 0.10 -0.06 0.10 0.233
H -4.4514 -2.3470 3.8615 -0.04 0.05 -0.06 0.307
C -0.2817 2.3154 3.3689 -0.24 -0.20 0.14 0.028
O -0.3071 1.9435 4.7426 0.04 -0.09 0.12 -0.577
H -0.7262 1.5338 2.7482 0.11 0.05 -0.09 -0.115
H -0.8371 3.2407 3.2013 0.06 0.04 -0.05 0.260
H 0.7614 2.4429 3.0878 0.01 0.07 -0.11 0.135
H -1.0468 1.3486 4.8936 0.00 0.12 -0.03 0.322
C -2.1369 2.4007 0.1537 -0.42 0.23 -0.50 -0.100
O -2.5049 3.6873 0.6620 0.04 -0.23 0.10 -0.546
H -2.3874 1.6386 0.8868 0.22 0.07 0.21 0.159
H -2.7151 2.1485 -0.7405 0.01 0.01 0.03 0.367
H -1.0849 2.3734 -0.1330 0.09 -0.11 0.22 -0.172
H -2.8295 4.2262 -0.0627 0.08 -0.01 0.02 0.294
C 0.3386 -4.0752 2.3000 -0.10 0.49 -0.05 -0.270
O 0.8146 -2.8291 2.8087 -0.07 -0.23 -0.09 -0.464
H 1.1379 -4.8127 2.2149 -0.02 -0.09 0.09 0.346
H -0.4906 -4.4555 2.9002 0.08 -0.15 0.04 0.341
H -0.0502 -3.8705 1.3027 0.05 0.00 -0.03 -0.202
H 0.9819 -2.9327 3.7487 0.06 0.03 0.04 0.266
C 1.8413 1.1505 -3.4078 0.27 -0.06 -0.36 -0.880
O 1.3907 1.9033 -2.2851 -0.40 -0.04 -0.17 0.298
P 2.4039 2.4763 -1.2369 0.34 0.29 0.15 0.707
O 3.7385 2.8118 -1.7400 0.05 -0.19 -0.03 -0.820
O 1.5489 3.6609 -0.6608 -0.32 -0.06 0.01 -0.282
C 2.1303 4.5399 0.3101 0.09 -0.13 0.22 -0.764
O 2.3982 1.4370 -0.0338 0.13 0.09 0.07 -0.050
C 3.4106 0.4297 0.0319 -0.01 -0.24 0.00 -0.681
H 2.3179 1.8009 -4.1427 -0.02 0.05 0.10 0.234
-- stop --
We walked everywhere today. Chicago was freezing but pretty in its own way. Notice the ice in the river.